(What to do)
What is needed: say how many lines of the material below hold the word "Li6", as a bare number.

(Material)
Entry 1:
# Li8Mn12Ni4O31, optimized geometry, DFT PBE+U
# crystal system = triclinic
# density = 4.19 g/cm³
# VASP energy = -6.4804 eV/atom
# E_form = -1.93 eV/atom
data_Li8Mn12Ni4O31
_chemical_formula_sum 'Li8 Mn12 Ni4 O31'
_cell_length_a 8.3019
_cell_length_b 8.3096
_cell_length_c 8.3116
_cell_angle_alpha 90.58
_cell_angle_beta 90.30
_cell_angle_gamma 90.27
_space_group_name_H-M_alt 'P 1'
_space_group_IT_number 1
_space_group_name_Hall 'P 1'
loop_
_atom_site_label
_atom_site_fract_x
_atom_site_fract_y
_atom_site_fract_z
Li1 0.0000 0.0000 0.0000
Li2 0.0019 0.5098 0.5058
Li3 0.2499 0.7587 0.2490
Li4 0.2537 0.2598 0.7542
Li5 0.4983 0.4998 0.9964
Li6 0.5046 0.0054 0.4933
Li7 0.7537 0.7554 0.7509
Li8 0.7710 0.2795 0.2799
Mn1 0.1225 0.3811 0.1283
Mn2 0.1270 0.1325 0.3789
Mn3 0.1303 0.8846 0.6257
Mn4 0.3732 0.3829 0.3758
Mn5 0.3779 0.6345 0.6233
Mn6 0.3787 0.8831 0.8741
Mn7 0.6239 0.8664 0.1236
Mn8 0.6249 0.6273 0.3732
Mn9 0.6256 0.1311 0.8617
Mn10 0.8729 0.6252 0.1269
Mn11 0.8761 0.3775 0.8771
Mn12 0.8794 0.1309 0.6256
Ni1 0.1267 0.6312 0.8761
Ni2 0.3599 0.1304 0.1227
Ni3 0.6276 0.3807 0.6241
Ni4 0.8766 0.8782 0.3760
O1 0.1042 0.6121 0.1259
O2 0.1087 0.3815 0.8995
O3 0.1178 0.1197 0.6139
O4 0.1222 0.1475 0.1484
O5 0.1267 0.9037 0.3934
O6 0.1378 0.3688 0.3646
O7 0.1456 0.6552 0.6267
O8 0.1496 0.8806 0.8579
O9 0.3530 0.3765 0.1426
O10 0.3601 0.1527 0.3697
O11 0.3668 0.8711 0.6387
O12 0.3765 0.4045 0.6076
O13 0.3766 0.6511 0.8538
O14 0.3882 0.6178 0.3871
O15 0.3927 0.8903 0.1054
O16 0.3961 0.1170 0.8839
O17 0.6019 0.3953 0.3777
O18 0.6090 0.6299 0.6042
O19 0.6145 0.8990 0.8916
O20 0.6275 0.8586 0.3539
O21 0.6413 0.6187 0.1412
O22 0.6442 0.3604 0.8731
O23 0.6550 0.1343 0.6171
O24 0.8547 0.6282 0.3597
O25 0.8577 0.8553 0.1271
O26 0.8629 0.1423 0.8625
O27 0.8785 0.3638 0.6486
O28 0.8779 0.6070 0.8944
O29 0.8881 0.3891 0.1141
O30 0.8966 0.1287 0.3960
O31 0.9009 0.8986 0.6241

---

Entry 2:
# LiMn3Ni2O8, optimized geometry, DFT PBE+U
# crystal system = orthorhombic
# density = 4.70 g/cm³
# VASP energy = -6.3812 eV/atom
# spin magnetization = 0.9997 μB/atom
# E_form = -1.74 eV/atom
data_LiMn3Ni2O8
_chemical_formula_sum 'Li2 Mn6 Ni4 O16'
_cell_length_a 5.8459
_cell_length_b 5.9130
_cell_length_c 8.5287
_cell_angle_alpha 90.00
_cell_angle_beta 90.00
_cell_angle_gamma 90.00
_space_group_name_H-M_alt 'I m m 2'
_space_group_IT_number 44
_space_group_name_Hall 'I 2 -2'
loop_
_atom_site_label
_atom_site_fract_x
_atom_site_fract_y
_atom_site_fract_z
Li1 0.0000 0.0000 0.0000
Mn1 0.0000 0.5000 0.7699
Mn2 0.2462 0.5000 0.1388
Ni1 0.0000 0.2523 0.3840
O1 0.0000 0.2192 0.6321
O2 0.0000 0.2820 0.1366
O3 0.2283 0.0000 0.4087
O4 0.2307 0.5000 0.3611

---

Entry 3:
# Li4Mn5Ni2O12, optimized geometry, DFT PBE+U
# crystal system = monoclinic
# density = 4.54 g/cm³
# VASP energy = -6.3974 eV/atom
# spin magnetization = 1.0000 μB/atom
# E_form = -1.93 eV/atom
data_Li4Mn5Ni2O12
_chemical_formula_sum 'Li8 Mn10 Ni4 O24'
_cell_length_a 5.1873
_cell_length_b 8.9200
_cell_length_c 9.8341
_cell_angle_alpha 90.00
_cell_angle_beta 100.70
_cell_angle_gamma 90.00
_space_group_name_H-M_alt 'P 1 21 1'
_space_group_IT_number 4
_space_group_name_Hall 'P 2yb'
loop_
_atom_site_label
_atom_site_fract_x
_atom_site_fract_y
_atom_site_fract_z
Li1 0.0046 0.0000 0.2588
Li2 0.0132 0.3376 0.2635
Li3 0.2505 0.4954 0.5046
Li4 0.4926 0.0087 0.7426
Mn1 0.0154 0.6656 0.2592
Mn2 0.2464 0.0042 0.0034
Mn3 0.2555 0.8382 0.4994
Mn4 0.2581 0.3471 0.9984
Mn5 0.4900 0.6563 0.7396
Ni1 0.2527 0.1665 0.5058
Ni2 0.2545 0.6749 0.0056
O1 0.0848 0.3221 0.6187
O2 0.0951 0.8450 0.1051
O3 0.1325 0.9924 0.6170
O4 0.1400 0.5132 0.1325
O5 0.1451 0.6781 0.6248
O6 0.1609 0.1675 0.1271
O7 0.3349 0.1620 0.8792
O8 0.3521 0.6735 0.3819
O9 0.3595 0.5207 0.8753
O10 0.3641 0.9989 0.3903
O11 0.3866 0.8455 0.8949
O12 0.3999 0.3192 0.3772

---

Entry 4:
# Li3MnNi2O6, optimized geometry, DFT PBE+U
# crystal system = monoclinic
# density = 4.33 g/cm³
# VASP energy = -5.5265 eV/atom
# spin magnetization = 0.0000 μB/atom

(Outcome)
1